Jakob Blomer
Fermilab has several physics experiments including NOvA, MicroBooNE, and
the Dark Energy Survey that have computing grid-based applications that
need to read from a shared set of data files. We call this type of data
Auxiliary data to distinguish it from (a) Event data which tends to be
different for every job, and (b) Conditions data which tends to be the
same for each job in a batch of jobs. Conditions data also tends to be
relatively small per job (100s of Megabytes) where both Event data and
Auxiliary data are larger per job (Gigabytes), but unlike Event data,
[Data records, kept here for reference]
~~~
Entry 1:
Below is a relaxed structure of SiO2, with properties calculated at the meta-GGA r2SCAN level.

Cell: 8.6827 20.0358 10.1448 Å, 90.00 90.00 90.00°
With the nearest neighbours (Å) after each atom.
Space group Cmce (No. 64)
Inequivalent atoms, fractional coordinates:
1 Si 0.1824 0.0551 0.1108 x16  4 O 1.60-1.61
2 Si 0.1839 0.1989 0.3933 x16  4 O 1.60-1.61
3 O 0.0000 0.0680 0.1253 x8  2 Si 1.61
4 O 0.0000 0.2034 0.3912 x8  2 Si 1.60
5 O 0.2160 0.0000 0.0000 x8  2 Si 1.60
6 O 0.2351 0.1239 0.4314 x16  2 Si 1.61
7 O 0.2500 0.0293 0.2500 x8  2 Si 1.61
8 O 0.2500 0.2184 0.2500 x8  2 Si 1.61
9 O 0.2500 0.2500 0.0000 x8  2 Si 1.60

Summary:
**Total magnetic moment**: 0.000 Bohr magnetons per cell
**Crystal system**: orthorhombic
**Calculated density**: 1.8 g/cm³
**Calculated total energy**: -9.9231 eV/atom
**Energy of formation from the pure elements**: -3.02 eV/atom

Entry 2:
Below is a relaxed structure of Te16Rh15, with properties calculated at the meta-GGA r2SCAN level.

Cell: 8.9932 8.0328 8.9933 Å, 90.00 101.23 90.00°
With the nearest neighbours (Å) after each atom.
Space group P2/m (No. 10)
Inequivalent atoms, fractional coordinates:
1 Te 0.0376 0.0000 0.2077 x2  5 Rh 2.63-2.69
2 Te 0.0385 0.5000 0.2093 x2  6 Rh 2.70-2.83
3 Te 0.2125 0.2533 0.5449 x4  5 Rh 2.65-2.73
4 Te 0.2911 0.2463 0.9569 x4  6 Rh 2.70-2.81
5 Te 0.4469 0.5000 0.2861 x2  6 Rh 2.67-2.72
6 Te 0.4606 0.0000 0.2940 x2  6 Rh 2.74-2.79
7 Rh 0.0000 0.2380 0.0000 x2  6 Te 2.65-2.80, 2 Rh 2.85
8 Rh 0.0000 0.5000 0.5000 x1  6 Te 2.70-2.73, 2 Rh 2.90
9 Rh 0.2392 0.0000 0.7372 x2  6 Te 2.63-2.77
10 Rh 0.2436 0.2463 0.2560 x4  6 Te 2.67-2.81, 2 Rh 2.85-2.86
11 Rh 0.2634 0.5000 0.7440 x2  6 Te 2.65-2.83, 2 Rh 2.81-2.90
12 Rh 0.5000 0.0000 0.0000 x1  6 Te 2.70-2.74, 2 Rh 2.99
13 Rh 0.5000 0.2638 0.5000 x2  6 Te 2.68-2.79, 2 Rh 2.86
14 Rh 0.5000 0.5000 0.0000 x1  6 Te 2.71-2.75, 2 Rh 2.81

Summary:
**Total magnetic moment**: 0.000 Bohr magnetons per cell
**Crystal system**: monoclinic
**Calculated density**: 9.3 g/cm³
**Calculated total energy**: -25.1658 eV/atom
**Energy of formation from the pure elements**: -0.37 eV/atom

Entry 3:
Below is a relaxed structure of Ti3Sn5S12, with properties calculated at the meta-GGA r2SCAN level.

Cell: 9.1721 3.6194 13.8156 Å, 90.00 90.43 90.00°
With the nearest neighbours (Å) after each atom.
Space group Pm (No. 6)
Inequivalent atoms, fractional coordinates:
1 Ti 0.0000 0.0000 0.0000 x1  6 S 2.40-2.49
2 Ti 0.1776 0.5000 0.5132 x1  6 S 2.36-2.54
3 Ti 0.6923 0.5000 0.9068 x1  6 S 2.42-2.48
4 Sn 0.2935 0.5000 0.1137 x1  3 S 2.58-2.66
5 Sn 0.4022 0.0000 0.7824 x1  3 S 2.57-2.70
6 Sn 0.4938 0.0000 0.4027 x1  6 S 2.55-2.58
7 Sn 0.8008 0.5000 0.2778 x1  3 S 2.59-2.76
8 Sn 0.8893 0.0000 0.6254 x1  3 S 2.60-2.68
9 S 0.0235 0.0000 0.4538 x1  2 Ti 2.44, 1 Sn 2.68
10 S 0.0806 0.5000 0.6712 x1  1 Ti 2.36, 2 Sn 2.60
11 S 0.1057 0.0000 0.1598 x1  1 Ti 2.40, 2 Sn 2.58
12 S 0.1578 0.5000 0.9432 x1  2 Ti 2.45, 1 Sn 2.66
~~~
[The data records stop here]
Auxiliary data comes from a limited working set (10s to 100s of
Gigabytes) of shared files. Since there is some sharing of the
Auxiliary data, it appeared at first that the CernVM-Filesystem (CVMFS)
infrastructure built for distributing software to the grid would also be
the best way to distribute Auxiliary data. However, because grid jobs
tend to be started in large batches running the same code, the software
distribution use case of CVMFS has a very high cache hit ratio, so the
bandwidth requirements on the per-site http proxy caches (squids) is
quite low. As a result those proxy caches have been engineered with
relatively low bandwidth, and they are easily overwhelmed by Auxiliary
data with its relatively low cache hit ratio. A new approach was
needed. We are taking advantage of a CVMFS client feature called "alien
cache" to cache data on site-local high-bandwidth data servers that were
engineered for storing Event data. This site-shared cache replaces
caching CVMFS files on both the worker node local disks and on the
site-local squids. We have tested this alien cache with the dCache
NFSv4.1 interface, Lustre, and Hadoop-FS-fuse, and found that they all
perform well. In addition, we use high-bandwidth data servers at
central sites to perform the CVMFS Stratum 1 function instead of the
low-bandwidth web servers deployed for the CVMFS software distribution
function. We have tested this using the dCache http interface. As a
result, we have an end-to-end high-bandwidth widely distributed caching
read-only filesystem, using existing client software already widely
deployed to grid worker nodes and existing file servers already widely
installed at grid sites. Files are published in a central place and are
soon available on demand throughout the grid and cached locally on the
== What comes next are calculated crystals, not part of the entry ==
____________
*w*
Below is a geometry-optimized Co2P3O10 structure, with properties calculated at the PBE+U level.

abc: 4.698 8.483 8.943
angles: 90.00 98.39 90.00
Fractional positions:
Co 0.052 0.069 0.328
Co 0.052 0.431 0.328
Co 0.948 0.569 0.672
Co 0.948 0.931 0.672
P 0.331 0.250 0.813
P 0.389 0.750 0.463
P 0.476 0.250 0.147
P 0.524 0.750 0.853
P 0.611 0.250 0.537
P 0.669 0.750 0.187
O 0.171 0.098 0.791
O 0.171 0.402 0.791
O 0.214 0.750 0.766
O 0.224 0.598 0.488
O 0.224 0.902 0.488
O 0.302 0.250 0.450
O 0.310 0.101 0.177
O 0.310 0.399 0.177
O 0.410 0.750 0.286
O 0.470 0.750 0.025
O 0.530 0.250 0.975
O 0.590 0.250 0.714
O 0.690 0.601 0.823
O 0.690 0.899 0.823
O 0.698 0.750 0.550
O 0.776 0.098 0.512
O 0.776 0.402 0.512
O 0.786 0.250 0.234
O 0.829 0.598 0.209
O 0.829 0.902 0.209

Summary:
Symmetry: P2_1/m, No. 11
Volume: 353 Å³ per cell

*x*
Below is a geometry-optimized Co2P3O10 structure, with properties calculated at the PBE+U level.

abc: 7.947 7.971 9.430
angles: 97.56 111.61 113.56
Fractional positions:
Co 0.173 0.260 0.460
Co 0.300 0.710 0.036
Co 0.700 0.290 0.964
Co 0.827 0.740 0.540
P 0.135 0.549 0.271
P 0.173 0.922 0.248
P 0.222 0.136 0.771
P 0.778 0.864 0.229
P 0.827 0.078 0.752
P 0.865 0.451 0.729
O 0.071 0.153 0.846
O 0.102 0.568 0.820
O 0.118 0.926 0.664
O 0.195 0.774 0.345
O 0.225 0.497 0.420
O 0.237 0.544 0.162
O 0.245 0.907 0.121
O 0.250 0.281 0.678
O 0.284 0.120 0.373
O 0.422 0.194 0.921
O 0.578 0.806 0.079
O 0.716 0.880 0.627
O 0.750 0.719 0.322
O 0.755 0.093 0.879
O 0.763 0.456 0.838
O 0.775 0.503 0.580
O 0.805 0.226 0.655
O 0.882 0.074 0.336
O 0.898 0.432 0.180
O 0.929 0.847 0.154

Summary:
Symmetry: P-1, No. 2
Volume: 481 Å³ per cell
Magnetization: 0.467 μB per atom

*y*
Below is a geometry-optimized Co2P3O10 structure, with properties calculated at the PBE+U level.

abc: 7.856 8.077 9.511
angles: 97.69 111.20 113.16
Fractional positions:
Co 0.173 0.256 0.457
Co 0.298 0.707 0.032
Co 0.702 0.293 0.968
Co 0.827 0.744 0.543
P 0.139 0.550 0.269
P 0.170 0.917 0.245
P 0.224 0.136 0.767
P 0.776 0.864 0.233
P 0.830 0.083 0.755
P 0.861 0.450 0.731
O 0.075 0.154 0.848
O 0.102 0.570 0.826
O 0.126 0.931 0.667
O 0.188 0.768 0.338
O 0.227 0.496 0.413
O 0.238 0.547 0.156
O 0.239 0.897 0.116
O 0.256 0.283 0.682
O 0.284 0.110 0.367
O 0.428 0.194 0.919
O 0.572 0.806 0.081
O 0.716 0.890 0.633
O 0.744 0.717 0.318
O 0.761 0.103 0.884
O 0.762 0.453 0.844
O 0.773 0.504 0.587
O 0.812 0.232 0.662
O 0.874 0.069 0.333
O 0.898 0.430 0.174
O 0.925 0.846 0.152

Summary:
Symmetry: P-1, No. 2
Volume: 490 Å³ per cell
Magnetization: 0.467 μB per atom

Most stable one: *y*, least stable one: *w*.
____________
== Here the entry continues ==
site with a convenient POSIX interface. This paper discusses the
Attached: records of crystals
........
K2NaCeI6 | PBE | relaxed

Unit cell a=12.468 b=12.468 c=12.468 alpha=90.00 beta=90.00 gamma=90.00
Space group Fm-3m (No. 225)
Unique sites:
K  0.250  0.250  0.250 (multiplicity 8)
Na  0.000  0.000  0.000 (multiplicity 4)
Ce  0.000  0.000  0.500 (multiplicity 4)
I  0.000  0.000  0.250 (multiplicity 24)

Results
- Calculated formation energy: -1.5744 eV/atom
- DFT total energy: -3.2091 eV per atom
- Total energy after the MP2020 corrections: -137.46 eV for the cell shown


{
  "formula": "Mg3Mn2Si4O14",
  "functional": "PBE with a Hubbard U",
  "state": "optimized geometry",
  "space_group": "C2/c, No. 15",
  "total_energy_ev_per_atom": -7.30,
  "volume_a3_per_cell": 536.0,
  "delta_e_f_ev_per_atom": -2.9063,
  "magmom_total_mub_per_cell": 16.0,
  "lattice_angstrom": [[3.824, 8.538, 0.000], [-3.824, 8.538, 0.000], [0.000, 5.622, 8.208]],
  "species": ["O", "Si", "O", "O", "Si", "Si", "Mn", "O", "Si", "O", "Si", "O", "Si", "O", "Mg", "Mg", "O", "O", "Si", "O", "O", "O", "O", "Mn", "O", "Mg", "Mn", "Mn", "O", "Mg", "O", "Si", "Mg", "O", "O", "O", "O", "O", "O", "O", "Mg", "O", "O", "O", "O", "O"],
  "fractional_positions": [[0.317, 0.829, 0.819], [0.249, 0.513, 0.606], [0.171, 0.683, 0.681], [0.008, 0.769, 0.193], [0.487, 0.751, 0.894], [0.751, 0.487, 0.394], [0.000, 0.000, 0.500], [0.992, 0.231, 0.807], [0.080, 0.548, 0.205], [0.457, 0.634, 0.087], [0.513, 0.249, 0.106], [0.366, 0.543, 0.413], [0.452, 0.920, 0.295], [0.500, 0.927, 0.876], [0.737, 0.926, 0.389], [0.263, 0.074, 0.611], [0.306, 0.385, 0.230], [0.032, 0.112, 0.587], [0.548, 0.080, 0.705], [0.073, 0.500, 0.624], [0.829, 0.317, 0.319], [0.481, 0.919, 0.441], [0.888, 0.968, 0.913], [0.000, 0.000, 0.000], [0.694, 0.615, 0.770], [0.074, 0.263, 0.111], [0.787, 0.213, 0.750], [0.213, 0.787, 0.250], [0.543, 0.366, 0.913], [0.391, 0.609, 0.750], [0.112, 0.032, 0.087], [0.920, 0.452, 0.795], [0.926, 0.737, 0.889], [0.385, 0.306, 0.730], [0.968, 0.888, 0.413], [0.634, 0.457, 0.587], [0.231, 0.992, 0.307], [0.081, 0.519, 0.059], [0.519, 0.081, 0.559], [0.615, 0.694, 0.270], [0.609, 0.391, 0.250], [0.500, 0.073, 0.124], [0.919, 0.481, 0.941], [0.927, 0.500, 0.376], [0.683, 0.171, 0.181], [0.769, 0.008, 0.693]]
}

=====

{
  "formula": "Rb2LiMoF6",
  "functional": "PBE with a Hubbard U",
  "state": "optimized geometry",
  "space_group": "Fm-3m, No. 225",
  "total_energy_ev_per_atom": -5.01,
  "volume_a3_per_cell": 153.6,
  "delta_e_f_ev_per_atom": -2.9888,
  "magmom_total_mub_per_cell": 3.0,
  "lattice_angstrom": [[-0.838, -4.866, -3.429], [-3.172, -4.652, 2.107], [-5.446, -1.190, -2.250]],
  "species": ["Rb", "Mo", "Li", "F", "F", "F", "Rb", "F", "F", "F"],
  "fractional_positions": [[0.250, 0.250, 0.250], [0.000, 0.000, 0.000], [0.500, 0.500, 0.500], [0.246, 0.246, 0.754], [0.246, 0.754, 0.246], [0.754, 0.246, 0.754], [0.750, 0.750, 0.750], [0.754, 0.754, 0.246], [0.246, 0.754, 0.754], [0.754, 0.246, 0.246]]
}

=====

{
  "formula": "Li4Ni3BiO8",
  "functional": "PBE with a Hubbard U",
........
The records of crystals stop here
details of the architecture and reports performance measurements.
Dave Dykstra
(Fermi National Accelerator Lab. (US))
Brian Paul Bockelman
(University of Nebraska (US))
Jakob Blomer
Ken Herner
Marko Slyz
Tanya Levshina